**Material:**
/*
Starting from a DFT-relaxed cell (GGA-PBE, OQMD), the X-ray powder pattern of Ag4P2S7 was calculated for copper Kα.

Cell: 6.3711 6.3711 16.4182 Å, 104.02 104.02 62.48°
Element x y z (fractional)
Ag: 0.0389 0.4459 0.6621
Ag: 0.1781 0.7400 0.9458
Ag: 0.2600 0.8219 0.5542
Ag: 0.4459 0.0389 0.1621
Ag: 0.5541 0.9611 0.8379
Ag: 0.7400 0.1781 0.4458
Ag: 0.8219 0.2600 0.0542
Ag: 0.9611 0.5541 0.3379
P: 0.0667 0.7161 0.1435
P: 0.2839 0.9333 0.3565
P: 0.7161 0.0667 0.6435
P: 0.9333 0.2839 0.8565
S: 0.0010 0.9990 0.2500
S: 0.0621 0.4243 0.1771
S: 0.1040 0.2397 0.4345
S: 0.2397 0.1040 0.9345
S: 0.3564 0.6335 0.4015
S: 0.3665 0.6436 0.0985
S: 0.4243 0.0621 0.6771
S: 0.5757 0.9379 0.3229
S: 0.6335 0.3564 0.9015
S: 0.6436 0.3665 0.5985
S: 0.7603 0.8960 0.0655
S: 0.8960 0.7603 0.5655
S: 0.9379 0.5757 0.8229
S: 0.9990 0.0010 0.7500

Principal peaks in the range 2θ from 5° to 70°, low angle first:
d [Å], Rel. int.
5.064, 94
3.876, 57
3.565, 96
3.304, 94
3.008, 56
2.940, 77
2.890, 76
2.791, 50
2.767, 100
2.612, 52

---

Starting from a DFT-relaxed cell (GGA-PBE, OQMD), the X-ray powder pattern of Tl5Ag3P4S12 was calculated for copper Kα.

Cell: 13.5462 13.5462 13.0514 Å, 108.50 108.50 32.54°
Element x y z (fractional)
Tl: 0.0059 0.9941 0.7500
Tl: 0.0499 0.2671 0.6153
Tl: 0.2266 0.4519 0.7330
Tl: 0.2671 0.0499 0.1153
Tl: 0.4519 0.2266 0.2330
Tl: 0.5481 0.7734 0.7670
Tl: 0.7329 0.9501 0.8847
Tl: 0.7734 0.5481 0.2670
Tl: 0.9501 0.7329 0.3847
Tl: 0.9941 0.0059 0.2500
Ag: 0.2252 0.5368 0.0293
Ag: 0.4632 0.7748 0.4707
Ag: 0.4810 0.5190 0.2500
Ag: 0.5190 0.4810 0.7500
Ag: 0.5368 0.2252 0.5293
Ag: 0.7748 0.4632 0.9707
P: 0.0792 0.4001 0.9248
P: 0.3401 0.6311 0.4936
P: 0.3689 0.6599 0.0064
P: 0.4001 0.0792 0.4248
P: 0.5999 0.9208 0.5752
P: 0.6311 0.3401 0.9936
P: 0.6599 0.3689 0.5064
P: 0.9208 0.5999 0.0752
S: 0.0673 0.4374 0.1976
S: 0.0874 0.2360 0.8900
S: 0.1449 0.7499 0.9532
S: 0.2360 0.0874 0.3900
S: 0.2501 0.8551 0.5468
S: 0.2551 0.6229 0.3350
S: 0.2582 0.3331 0.4692
S: 0.2699 0.6063 0.5907
S: 0.3331 0.2582 0.9692
S: 0.3771 0.7449 0.1650
S: 0.3937 0.7301 0.9093
S: 0.4374 0.0673 0.6976
S: 0.5626 0.9327 0.3024
S: 0.6063 0.2699 0.0907
S: 0.6229 0.2551 0.8350
S: 0.6669 0.7418 0.0308
S: 0.7301 0.3937 0.4093
S: 0.7418 0.6669 0.5308
S: 0.7449 0.3771 0.6650
S: 0.7499 0.1449 0.4532
S: 0.7640 0.9126 0.6100
S: 0.8551 0.2501 0.0468
S: 0.9126 0.7640 0.1100
S: 0.9327 0.5626 0.8024

Principal peaks in the range 2θ from 5° to 70°, low angle first:
d [Å], Rel. int.
4.090, 51
3.732, 39
3.627, 22
3.574, 24
2.997, 100
2.984, 23
2.856, 44
2.782, 19
2.468, 17
2.178, 16

---

Starting from a DFT-relaxed cell (GGA-PBE, OQMD), the X-ray powder pattern of ScAgP2Se6 was calculated for copper Kα.

Cell: 6.5264 6.5264 14.1713 Å, 90.00 90.00 120.00°
Element x y z (fractional)
Sc: 0.0000 0.0000 0.2500
Sc: 0.0000 0.0000 0.7500
Ag: 0.3333 0.6667 0.2500
Ag: 0.6667 0.3333 0.7500
P: 0.3333 0.6667 0.6705
P: 0.3333 0.6667 0.8295
P: 0.6667 0.3333 0.1705
P: 0.6667 0.3333 0.3295
Se: 0.0235 0.3282 0.6246
Se: 0.0235 0.6953 0.8754
Se: 0.3047 0.3282 0.8754
Se: 0.3047 0.9765 0.6246
Se: 0.3282 0.0235 0.1246
Se: 0.3282 0.3047 0.3754
Se: 0.6718 0.6953 0.6246
Se: 0.6718 0.9765 0.8754
Se: 0.6953 0.0235 0.3754
Se: 0.6953 0.6718 0.1246
Se: 0.9765 0.3047 0.1246
Se: 0.9765 0.6718 0.3754

Principal peaks in the range 2θ from 5° to 70°, low angle first:
d [Å], Rel. int.
7.086, 26
3.625, 12
*/

**Brief:**
Next, set down the lines further up up to the one that holds "0.6229 0.2551", that line included.

**Reply:**
Starting from a DFT-relaxed cell (GGA-PBE, OQMD), the X-ray powder pattern of Ag4P2S7 was calculated for copper Kα.

Cell: 6.3711 6.3711 16.4182 Å, 104.02 104.02 62.48°
Element x y z (fractional)
Ag: 0.0389 0.4459 0.6621
Ag: 0.1781 0.7400 0.9458
Ag: 0.2600 0.8219 0.5542
Ag: 0.4459 0.0389 0.1621
Ag: 0.5541 0.9611 0.8379
Ag: 0.7400 0.1781 0.4458
Ag: 0.8219 0.2600 0.0542
Ag: 0.9611 0.5541 0.3379
P: 0.0667 0.7161 0.1435
P: 0.2839 0.9333 0.3565
P: 0.7161 0.0667 0.6435
P: 0.9333 0.2839 0.8565
S: 0.0010 0.9990 0.2500
S: 0.0621 0.4243 0.1771
S: 0.1040 0.2397 0.4345
S: 0.2397 0.1040 0.9345
S: 0.3564 0.6335 0.4015
S: 0.3665 0.6436 0.0985
S: 0.4243 0.0621 0.6771
S: 0.5757 0.9379 0.3229
S: 0.6335 0.3564 0.9015
S: 0.6436 0.3665 0.5985
S: 0.7603 0.8960 0.0655
S: 0.8960 0.7603 0.5655
S: 0.9379 0.5757 0.8229
S: 0.9990 0.0010 0.7500

Principal peaks in the range 2θ from 5° to 70°, low angle first:
d [Å], Rel. int.
5.064, 94
3.876, 57
3.565, 96
3.304, 94
3.008, 56
2.940, 77
2.890, 76
2.791, 50
2.767, 100
2.612, 52

---

Starting from a DFT-relaxed cell (GGA-PBE, OQMD), the X-ray powder pattern of Tl5Ag3P4S12 was calculated for copper Kα.

Cell: 13.5462 13.5462 13.0514 Å, 108.50 108.50 32.54°
Element x y z (fractional)
Tl: 0.0059 0.9941 0.7500
Tl: 0.0499 0.2671 0.6153
Tl: 0.2266 0.4519 0.7330
Tl: 0.2671 0.0499 0.1153
Tl: 0.4519 0.2266 0.2330
Tl: 0.5481 0.7734 0.7670
Tl: 0.7329 0.9501 0.8847
Tl: 0.7734 0.5481 0.2670
Tl: 0.9501 0.7329 0.3847
Tl: 0.9941 0.0059 0.2500
Ag: 0.2252 0.5368 0.0293
Ag: 0.4632 0.7748 0.4707
Ag: 0.4810 0.5190 0.2500
Ag: 0.5190 0.4810 0.7500
Ag: 0.5368 0.2252 0.5293
Ag: 0.7748 0.4632 0.9707
P: 0.0792 0.4001 0.9248
P: 0.3401 0.6311 0.4936
P: 0.3689 0.6599 0.0064
P: 0.4001 0.0792 0.4248
P: 0.5999 0.9208 0.5752
P: 0.6311 0.3401 0.9936
P: 0.6599 0.3689 0.5064
P: 0.9208 0.5999 0.0752
S: 0.0673 0.4374 0.1976
S: 0.0874 0.2360 0.8900
S: 0.1449 0.7499 0.9532
S: 0.2360 0.0874 0.3900
S: 0.2501 0.8551 0.5468
S: 0.2551 0.6229 0.3350
S: 0.2582 0.3331 0.4692
S: 0.2699 0.6063 0.5907
S: 0.3331 0.2582 0.9692
S: 0.3771 0.7449 0.1650
S: 0.3937 0.7301 0.9093
S: 0.4374 0.0673 0.6976
S: 0.5626 0.9327 0.3024
S: 0.6063 0.2699 0.0907
S: 0.6229 0.2551 0.8350